Конспект урока "Как мы помогаем людям" 5 класс

Муниципальное бюджетное образовательное учреждение «Средняя
общеобразовательная школа №9» г. Вилючинск, Камчатский край
Урок для учащихся 5-х классов.
Цикл №3, урок №4.
«Как мы помогаем людям»
по УМК «Английский»
под редакцией ВП Кузовлева.
Урок разработала
учитель английского языка
Климова Н.И.
Lesson 4.
Цели урока:
развитие произвольного внимания, произвольной и непроизвольной
памяти, умения использовать опоры для построения высказывания.
воспитание ценностного отношения к природе, к окружающей среде,
готовности к личному участию в экологических проектах.
помощь пожилым и одиноким людям.
Задачи: - развивающий аспект:
развивать коммуникативные умения (сравнение и сопоставление
речевых единиц, формулирование основной мысли высказывания);
умение пользоваться логическими действиями сравнения, анализа,
развивать умения работать с информацией;
развивать и поддерживать интерес к предмету.
- обучающий аспект:
формирование лексических навыков говорения.
- воспитательный аспект:
создать предпосылки для формирования активной позиции по вопросам
помощи людям.
Тип урока: урок комбинированный.
Методы: интерактивный, словесный, наглядный, практический.
Магнитофон, мультимедиа проектор, ПК, мультимедиа презентация по теме
Fairy - Land”, раздаточный материал.
Ход урока.
Презентация FAIRY- LAND
1. Good morning boys and girls, nice to see you. I think you are fine today. We
shall begin our lesson with a poem.
I have watered flowers
It is great and fun.
My brother has cleaned the floor На доску
And he’s designed the drum.
We are happy the whole day
Because we help and play.
Design [diz’ain] создавать
a) Listen to the poem, read it and translate (T→Cl)
(P1, P2, P3….)
2. Today during our lesson we shall visit a fairy-land. We shall see what has
happened in the fairy-land.
A).To walk in the fairy-land you should remember the verbs.
Infinitive V1
B).Finish the sentences. Choose the right verb.
1. I have (clean/cleaned) the paths.
2. They have (cooked/cook) dinner.
3. She has (drawn/drew) the picture today.
4. He has (go/gone) shopping twice a week.
5. We have (raked/rake) the leaves.
6. We have (sewed/ sewn) many soft toys.
7. They have (buy/bought) apples twice a week.
8. We have (learnt/learn) a nice poem this month.
C). Answer the questions.
1. Have you cleaned up the house?
Yes, I…..
2. Have you swept the paths?
No, I…. I have ….
3. Have you learnt the poem this week?
Yes, I….
4. Have you raked leaves in the garden?
No, I…. I have…
5. Have you washed off graffiti?
Yes, I have….
6. Have you done the shopping?
No, I …. I have
7. Have you watered the flowers?
Yes, I ….
8. Have you swept the floor?
No, I ….. I have
D). Correct the mistakes.
1.I have cook dinner today.
2.They have sweep the floor in the kitchen.
3.We have sew many soft toys for children in the hospital.
4. She has play the piano for elderly and lonely people.
**The page is interrupted by quantum chemistry results:**
- - -
{
  "formula": "C39H20BrN8O2Rb",
  "method": "wB97M-V/def2-TZVPD",
  "multiplicity": 1,
  "e_above_lowest_kj_mol": 40.7,
  "e_tot_ev": -127485.5690,
  "total_charge": -2,
  "fmax_ev_per_a": 0.67,
  "elements": ["Rb", "C", "C", "C", "C", "C", "N", "C", "C", "C", "C", "C", "C", "C", "C", "N", "C", "N", "C", "N", "C", "N", "C", "N", "C", "N", "C", "C", "C", "C", "C", "C", "C", "C", "C", "C", "C", "C", "C", "C", "N", "H", "H", "H", "H", "H", "H", "H", "H", "H", "H", "H", "H", "H", "H", "H", "H", "Br", "C", "C", "C", "C", "C", "C", "C", "O", "O", "H", "H", "H", "H"],
  "positions_angstrom": [[0.631, -0.745, -1.333], [-5.065, -2.857, 2.774], [-5.755, -1.705, 2.378], [-5.097, -0.650, 1.763], [-3.730, -0.769, 1.547], [-2.726, 0.117, 0.949], [-3.002, 1.336, 0.594], [-2.063, 2.157, 0.058], [-2.016, 3.580, 0.136], [-2.903, 4.577, 0.572], [-2.504, 5.894, 0.546], [-1.211, 6.258, 0.098], [-0.314, 5.302, -0.320], [-0.695, 3.950, -0.294], [-0.066, 2.712, -0.608], [1.256, 2.245, -0.877], [2.019, 2.050, 0.116], [2.963, 0.967, 0.009], [3.109, 0.515, 1.205], [3.604, -0.734, 1.548], [2.632, -1.573, 1.737], [1.308, -1.308, 1.541], [0.595, -2.406, 1.897], [-0.686, -2.625, 1.927], [-1.634, -1.681, 1.588], [-1.473, -0.529, 0.997], [-3.043, -1.919, 1.943], [-3.699, -2.973, 2.564], [1.537, -3.492, 2.329], [1.328, -4.784, 2.766], [2.447, -5.547, 3.091], [3.732, -5.021, 2.982], [3.934, -3.714, 2.544], [2.817, -2.970, 2.221], [2.558, 1.418, 2.246], [2.602, 1.347, 3.622], [1.953, 2.352, 4.332], [1.279, 3.366, 3.661], [1.224, 3.412, 2.269], [1.879, 2.417, 1.565], [-0.896, 1.703, -0.469], [-5.609, -3.666, 3.249], [-6.823, -1.639, 2.556], [-5.621, 0.246, 1.453], [-3.892, 4.300, 0.918], [-3.188, 6.670, 0.871], [-0.927, 7.304, 0.086], [0.680, 5.586, -0.652], [-3.148, -3.855, 2.868], [0.321, -5.176, 2.843], [2.319, -6.568, 3.432], [4.585, -5.639, 3.238], [4.925, -3.288, 2.450], [3.115, 0.531, 4.116], [1.960, 2.339, 5.415], [0.767, 4.133, 4.230], [0.669, 4.196, 1.777], [1.583, -0.341, -10.558], [1.252, -0.717, -8.715], [2.291, -1.171, -7.922], [2.039, -1.443, -6.584], [0.771, -1.268, -6.046], [-0.251, -0.807, -6.867], [-0.022, -0.527, -8.207], [0.498, -1.576, -4.564], [-0.671, -1.396, -4.171], [1.488, -1.961, -3.900], [3.278, -1.305, -8.346], [2.822, -1.796, -5.925], [-1.227, -0.674, -6.416], [-0.818, -0.165, -8.845]],
  "mulliken_charge": [0.975, -0.561, -0.541, -0.186, 0.161, -0.287, -0.569, -0.606, 0.567, -0.286, -0.475, -0.500, -0.412, 0.108, -0.413, -0.503, 0.012, -0.572, 0.386, -0.746, -0.135, -0.296, 0.157, -0.559, -0.317, -0.112, 0.067, 0.004, 0.075, 0.108, -0.595, -0.508, -0.334, -0.074, 0.277, -0.447, -0.636, -0.743, 0.180, 0.581, 0.108, 0.373, 0.357, 0.511, 0.450, 0.359, 0.364, 0.418, 0.515, 0.536, 0.364, 0.373, 0.509, 0.472, 0.360, 0.438, 0.278, -0.269, 0.273, -0.453, -0.187, -0.168, -0.214, -0.442, 0.380, -0.765, -0.817, 0.388, 0.423, 0.429, 0.390]
}

~~~~~

DFT (ωB97M-V/def2-TZVPD) results for C22H26N4O3S in the gas phase at a distorted geometry.

```
56
- - -
5. He has ride a bike in the yard today.
6. My mother has water the flowers in the room.
7. My sister and I have clean up the house.
8. The boys have watch a very interesting film today.
9. My parents have buy apples and bananas twice a week.
E). How can they boast?
1.Sweep the floor. I have swept the floor.
2.Sew soft toys.
3.Buy bread and butter.
4. Cook dinner.
5. Do the shopping.
6. Rake leaves.
7. Do your homework.
8. Clean up your house.
9. Sweep the paths.
10. Visit elderly and lonely people.
11. Collect secondhand books.
12. Pick up litter.
13. Help children in a local hospital.
14. Wash off graffiti.
F). What have the children done?
G). What useful things have you done this week, today or this month?
My friends
My sister
My brother
leaves in the garden
the class board
a new book for my
toys in the room
litter in the schoolyard
the shopping for the
flowers in the classroom
this week
this month.
rake the leaves
do the shopping
Boris and Olga
water the flowers
sweep the paths
sew soft toys
Barbara and Jane
clean up the house
wash off graffiti
do the shopping
water the flowers
sew soft toys
secondhand books
play with children
visit and help lonely
and elderly people
my room
my sister/brother
3. Dear boys and girls. Thank you very much for your work. You have done a lot
of tasks. Was it interesting? If it was interesting put a red balloon on the
blackboard. If it was boring put a yellow balloon on the board.
H. Ass.
Ex.4 p.43 (wr)